Gottfries A, C.N. Teulings, Returns to on-the-job search and the dispersion of wages, version March 15, 2017
A wide class of models with On-the-Job Search (OJS) implies that workers gradually select into ever better-paying jobs. This process continues until a lay-off occurs, when workers have to go through this selection process from the start again. This process implies that workers’ expected wage increases gradually during their career, an increase that might be misinterpreted as a return to labour market experience. We develop a simple methodology to test these predictions and to disentangle the return to the OJS process from the general return to experience. Our inference uses two sources of identification to distinguish between returns to experience and the returns from OJS: (i) time-variation in job-finding rates due to business cycle fluctuations, and (ii) the time since the last lay-off; since the selection process restarts from scratch after a lay off, the fall in wages upon lay off is an empirical prediction from models with OJS that does not fit a general return to experience.
What comes next are records of crystals, not part of the text >
/*
The following is a DFT calculation (GGA+U) of a relaxed Fe3O4F2 crystal.

The space group is C2 (No. 5) and the conventional cell measures 6.586, 6.574 and 9.212 Å, with angles of 90.00, 90.02 and 90.00 degrees. The asymmetric unit holds Fe at (0.000, 0.000, 0.000), Fe at (0.000, 0.491, 0.500), Fe at (0.006, 0.027, 0.341), Fe at (0.027, 0.498, 0.842), O at (0.000, 0.300, 0.000), O at (0.000, 0.700, 0.000), O at (0.010, 0.321, 0.671), O at (0.177, 0.005, 0.166), O at (0.199, 0.013, 0.503), F at (0.008, 0.709, 0.669) and F at (0.208, 0.006, 0.830).

The density of states at the Fermi level comes out at 12.22 states/eV/cell. For the total energy, the calculation gives -6.061 eV per atom. Its relative energy among the computed polymorphs is 0.036 eV per atom.

----------

The following is a PBE calculation of a geometry-optimized ZrIn2HgCl6 structure, from Alexandria via LeMat-Bulk.

Geometry as CIF:
```
data_ZrIn2HgCl6
_space_group_name_H-M_alt 'P 1'
_space_group_IT_number 1
_cell_length_a 7.211
_cell_length_b 7.683
_cell_length_c 8.391
_cell_angle_alpha 66.27
_cell_angle_beta 64.90
_cell_angle_gamma 65.63
loop_
_space_group_symop_operation_xyz
'x,y,z'
loop_
_atom_site_label
_atom_site_fract_x
_atom_site_fract_y
_atom_site_fract_z
Zr1 0.000 0.000 0.000
In1 0.340 0.359 0.975
In2 0.783 0.806 0.542
Hg1 0.529 0.523 0.499
Cl1 0.029 0.825 0.798
Cl2 0.136 0.667 0.212
Cl3 0.369 0.030 0.828
Cl4 0.625 0.988 0.189
Cl5 0.851 0.334 0.815
Cl6 0.983 0.148 0.228
```

Summary:
- calculated volume (Å³/f.u.) = 369
*/
The records of crystals stop here >
We refer to a sequence of jobs from the start of the career (or from the moment of a lay-off) till (the next) lay-off as an employment cycle. Due to the OJS selection process, the model predicts wages to increase gradually during an employment cycle. We show that conditional on the termination date of a job, the starting date of job should be uniformly distributed between the start of the employment cycle and the termination data of that job. The intuition is that the randomness of the arrival of job offers implies that we have no prior information whatsoever on the arrival time of the best job offer during the cycle, which is the job the worker currently holds. Hence, the starting date of the current job must be uniformly distributed. This is a strong prediction. We test this prediction, using data on the American labour market (NLSY 79). The prediction is shown to hold empirically.
### Data records from another source follow
<<<
# Sm6Rh2CBr3 | Alexandria via LeMat-Bulk | PBE-GGA | relaxed
# total moment: 0.000 μB per atom
# theoretical density: 7.1 Mg/m³
# crystal system: monoclinic
# formation energy without anion corrections: -11.5 eV/f.u.
data_Sm6Rh2CBr3
_space_group_name_H-M_alt 'C 1 2/m 1'
_space_group_IT_number 12
_space_group_name_Hall '-C 2y'
_cell_length_a 6.973
_cell_length_b 12.080
_cell_length_c 7.911
_cell_angle_alpha 90.00
_cell_angle_beta 106.74
_cell_angle_gamma 90.00
loop_
_atom_site_label
_atom_site_type_symbol
_atom_site_fract_x
_atom_site_fract_y
_atom_site_fract_z
Sm1 Sm 0.215 0.155 0.186
Sm2 Sm 0.248 0.500 0.187
Rh1 Rh 0.000 0.333 0.000
C1 C 0.000 0.000 0.000
Br1 Br 0.000 0.161 0.500
Br2 Br 0.000 0.500 0.500

* * * * *

Record 1
Density functional theory data (GGA-PBE) for a geometry-optimized Dy4Pd7Pt6 structure.

abc: 7.388 7.388 7.388
angles: 109.47 109.47 109.47
Atoms (fractional coordinates):
1 Dy 0.000 0.000 0.500
2 Dy 0.000 0.500 0.000
3 Dy 0.500 0.000 0.000
4 Dy 0.500 0.500 0.500
5 Pd 0.000 0.000 0.000
6 Pd 0.250 0.500 0.750
7 Pd 0.250 0.750 0.500
8 Pd 0.500 0.250 0.750
9 Pd 0.500 0.750 0.250
10 Pd 0.750 0.250 0.500
11 Pd 0.750 0.500 0.250
12 Pt 0.000 0.300 0.300
13 Pt 0.000 0.700 0.700
14 Pt 0.300 0.000 0.300
15 Pt 0.300 0.300 0.000
16 Pt 0.700 0.000 0.700
17 Pt 0.700 0.700 0.000

Output
Size of the total moment = 0.0 μB per formula unit
Space-group type = No. 229
Raw total energy = -104.741 eV for the cell shown

Record 2
Density functional theory data (GGA-PBE) for a geometry-optimized YGe structure.

abc: 5.060 5.060 5.759
angles: 90.00 90.00 120.00
Atoms (fractional coordinates):
1 Y 0.333 0.667 0.250
2 Y 0.667 0.333 0.750
3 Ge 0.333 0.667 0.750
4 Ge 0.667 0.333 0.250

Output
Size of the total moment = 0.0 μB per formula unit
Space-group type = No. 194
Raw total energy = -23.474 eV for the cell shown

Record 3
Density functional theory data (GGA-PBE) for a geometry-optimized TbPm2Ag2Pb2 structure.

abc: 9.261 9.261 9.261
angles: 31.11 31.11 31.11
Atoms (fractional coordinates):
1 Tb 0.000 0.000 0.000
2 Pm 0.135 0.135 0.135
3 Pm 0.865 0.865 0.865
4 Ag 0.438 0.438 0.438
5 Ag 0.562 0.562 0.562
6 Pb 0.270 0.270 0.270
7 Pb 0.730 0.730 0.730

Output
Size of the total moment = 0.0 μB per formula unit
Space-group type = No. 166
Raw total energy = -29.082 eV for the cell shown

Record 4
Density functional theory data (GGA-PBE) for a geometry-optimized Pm2Ga3PdPt4 structure.

abc: 4.081 4.081 11.529
angles: 90.00 90.00 90.00
Atoms (fractional coordinates):
1 Pm 0.000 0.500 0.244
2 Pm 0.500 0.000 0.756
3 Ga 0.000 0.000 0.000
4 Ga 0.000 0.500 0.630
5 Ga 0.500 0.000 0.370
6 Pd 0.500 0.500 0.000
7 Pt 0.000 0.000 0.500
8 Pt 0.000 0.500 0.844
9 Pt 0.500 0.000 0.156
10 Pt 0.500 0.500 0.500

Output
Size of the total moment = 0.0 μB per formula unit
Space-group type = No. 115
Raw total energy = -57.130 eV for the cell shown

Record 5
Density functional theory data (GGA-PBE) for a geometry-optimized Sc6CuAu5 structure.

abc: 7.601 7.601 6.763
>>>
Furthermore, we use the theory of extreme values of a set of random variables (in our case: the maximum) to derive the shape of the distribution of job offers. If the increase in the expected wage over the duration of an employment cycle converges to some bounded maximum, then the job offer distribution also has a maximum. If the expected wage keeps on increasing over the full duration of the employment cycle, the right tail of the job offer distribution is unbounded. Again, our empirical evidence gives a clear answer: the offer distribution is unbounded. Hence, pure sorting models cannot explain the data. In these models, workers seek a job that fit their aptitude best, e.g. a job of exactly the right complexity, not too complex, not too simple, which the maximum wage for each worker to be bounded. Our evidence suggest that wage offers follow a Gumbel distribution, which has a fat left tail.
We find remarkably strong support for all implications of the model. E.g. the model predicts that the rate at which wages increase during an employment cycle is the same across all cycles, whether it is the first (the start of the career) or e.g. the fourth (after three lay-offs). This prediction is supported by the data. Our methodology yields a simple and robust estimate for the standard deviation of the wage offer distribution, which is 7% for low skilled workers, and 15% for high skilled workers. For the high skilled workers, the standard deviation is substantially higher in cities than in the countryside, whereas this distinction does not make a difference for low skiled workers. The process of OJS affects leads to wage dispersion along three channels: first, the expected number of wage offers varies over the duration of an employment cycle; second, since the arrival of new job offers is random, the actual number of job offers differs from the expected number; and third, the quality of job offers differs (one being a better draw from the offer distribution than another). Altogether, these three factors account for a substantial part of the total dispersion of wages, roughly 10%. Similarly, OJS accounts for 30% of the experience profile. The average wage loss after lay-off is 11%. Search friction have therefore a major impact on labour market outcomes.